This FAQ originates from and is published with consent of Harald Welte. It contains some more detailed information on the requirements and best current practise of providing corresponding source code for GPL licensed executable code. It was compiled as a result of the numerous shortcomings and mistakes of more than sixty successful GPL enforcements.
The GNU GPL demands that as soon as you distribute GPL licensed software in executable format you make available the "complete corresponding source code". The GNU GPL also contains a definition of this term:
“ The source code for a work means the preferred form of the work for making modifications to it. For an executable work, complete source code means all the source code for all modules it contains, plus any associated interface definition files, plus the scripts used to control compilation and installation of the executable. ”
This is a quite precise definition. For a typical C program, this translates into all the source code (.c files) plus header files (.h files) plus the scripts used to control compilation and installation.
Always keep in mind that it is the purpose of the GPL to enable the users to exercise his freedoms. Specifically, the freedom to make modified versions of the program, and to run such modified versions of the program.
What are "scripts used to control compilation"?
Generally, any sophisticated program is split into many different source code files. During the process of compilation, each of them are compiled into executable code, after which they are linked. This process of compiling and linking individual source code files is generally controlled by scripts. Most often the "make" program is used, whose scripts are generally referred to as "Makefiles".
Also, some programs such as the Linux kernel tend to have compile-time configuration (in case of the Linux kernel the .config file). Since this compile-time configuration undoubtedly controls the process of compilation, you need to include any such compile-time configuration files, too.
What are "scripts used to control installation"?
After having translated software from its source code form into executable format, the program quite often needs to be installed into the system. The process of installation is often automatized by installation scripts. Exactly those scripts are referred to by the GPL.
Please note that this is of special practical importance in the case of embedded devices, since the executable program(s) need to be somehow installed onto the device. If the user is not given a way to install his own (modified) versions of the program, he has no way of exercising his freedom to run modified versions of the program.
Sometimes, the process of installation is not facilitated by scripts, but by some other means (such as executable programs). The GPL text only mentions the word "scripts". But when reading and interpreting the license, it is clearly understood that the license doesn't specifically only mean "scripts", but any kind of software programs that are required to install a (modified) version of the compiled program.
What about the compiler, the toolchain?
The GPL explicitly states:
“ However, as a special exception, the source code distributed need not include anything that is normally distributed (in either source or binary form) with the major components (compiler, kernel, and so on) of the operating system on which the executable runs, unless that component itself accompanies the executable. ”
Clearly, this paragraph is written for userspace programs running on existing general purpose operating systems. So if you have only distributed such programs, then you do not need to include compiler, kernel, linker, and so on.
Particularly in the case of cross-compilation for embedded platforms, the cross compiler for your specific hardware is very likely not something that is "normally distributed with ... the operating system".
Therefore, in such cases, you have to provide the the exact version of your compiler toolchain that was used to create the executables that you have distributed. Please note that in most cases this will be GNU GCC, which is itself GPL licensed, so the GPL obligations will in turn apply to the toolchain, and you must release the complete corresponding source code to it as well.
What version of the source code do I have to release?
For each and every version of the executable program, you have to release the precisely corresponding version of the complete corresponding source code.
_Calculated molecules from another source follow_
/*
# C27H108N54O27

A 27-piece molecular cluster, C27H108N54O27 overall (the ωB97M-V functional and the def2-TZVPD basis, OMol25).

Computed properties:
**Highest occupied orbital energy**: -9.519 eV
**LUMO energy**: 0.15 eV
**ΔE to the lowest compared entry with this formula, charge and spin**: 32.9 kcal per mole
**DFT total energy**: -165532.9190 eV

Structure (ORCA input):
```
! wB97M-V def2-TZVPD RIJCOSX def2/J DEFGRID3
* xyz 0 1
C -11.87 -30.28 3.49
O -11.02 -31.02 3.88
N -11.89 -28.95 3.78
N -13.01 -30.65 2.79
H -11.27 -28.37 4.40
H -12.44 -28.34 3.16
H -13.81 -30.16 3.15
H -13.21 -31.61 2.69
C -10.07 -24.18 11.01
O -9.73 -25.04 10.16
N -9.75 -22.92 10.84
N -10.72 -24.48 12.12
H -10.27 -22.14 11.09
H -9.28 -22.82 9.99
H -11.39 -23.83 12.40
H -10.90 -25.48 12.26
C -10.85 -31.64 7.72
O -10.42 -31.59 8.89
N -10.45 -32.57 6.77
N -11.90 -30.80 7.39
H -9.57 -32.97 7.03
H -10.53 -32.32 5.80
H -12.14 -30.59 6.45
H -11.91 -29.97 7.94
C -14.70 -25.27 7.38
O -13.77 -26.06 7.63
N -16.04 -25.47 7.79
N -14.58 -24.18 6.58
H -16.13 -25.98 8.63
H -16.60 -24.61 7.77
H -13.69 -23.75 6.37
H -15.38 -23.53 6.52
C -14.63 -26.24 11.31
O -15.56 -25.69 10.76
N -14.04 -27.29 10.64
N -14.26 -25.89 12.62
H -13.20 -27.62 11.00
H -14.15 -27.25 9.59
H -13.37 -26.36 12.93
H -14.19 -24.89 12.78
C -7.54 -21.20 4.58
O -7.34 -20.81 5.74
N -8.44 -22.07 4.14
N -6.82 -20.68 3.52
H -9.03 -22.46 4.82
H -8.50 -22.38 3.22
H -6.88 -21.10 2.60
H -5.90 -20.46 3.80
C -6.38 -23.39 0.86
O -6.91 -22.28 1.02
N -4.99 -23.67 1.08
N -7.14 -24.51 0.52
H -4.38 -22.87 0.87
H -4.69 -24.63 0.78
H -6.74 -25.39 0.26
H -8.12 -24.47 0.59
C -11.35 -18.25 1.26
O -12.22 -18.88 1.88
N -10.68 -18.79 0.24
N -10.88 -17.04 1.61
H -9.98 -18.39 -0.37
H -11.05 -19.63 -0.10
H -9.95 -16.81 1.26
H -11.11 -16.82 2.56
C -14.93 -27.32 4.00
O -14.72 -28.08 3.05
N -14.57 -26.03 4.04
N -15.29 -27.85 5.19
H -14.78 -25.56 4.88
H -14.28 -25.66 3.18
H -15.26 -28.85 5.12
H -15.32 -27.45 6.12
C -6.31 -22.96 9.41
O -6.57 -21.82 9.76
N -6.41 -23.49 8.18
N -5.89 -23.93 10.30
H -6.82 -22.92 7.35
H -6.49 -24.48 7.87
H -5.52 -24.76 9.85
H -5.96 -23.74 11.30
C -12.03 -22.32 1.86
O -11.77 -23.52 1.71
N -12.57 -21.60 0.90
N -11.65 -21.67 2.98
H -12.81 -20.67 1.05
H -12.87 -22.06 0.10
H -11.48 -22.21 3.84
H -11.94 -20.72 3.05
C -8.87 -28.12 5.45
O -9.88 -27.55 5.01
N -8.68 -29.45 5.14
N -8.13 -27.45 6.32
H -9.49 -29.87 4.72
H -8.28 -29.93 5.95
H -7.31 -27.94 6.61
H -8.10 -26.42 6.27
C -6.44 -20.09 13.14
O -6.76 -19.35 14.05
N -7.18 -21.19 12.77
N -5.29 -19.82 12.43
H -7.83 -21.41 13.51
H -6.98 -21.67 11.90
H -4.82 -20.62 11.99
H -4.73 -19.07 12.76
C -9.81 -26.51 0.91
O -8.92 -27.35 0.96
N -9.99 -25.67 -0.15
N -10.77 -26.49 1.95
H -10.91 -25.18 -0.27
H -9.64 -26.04 -1.01
H -11.31 -25.64 2.06
H -10.96 -27.38 2.44
C -13.00 -20.34 5.65
O -13.64 -21.17 5.10
N -12.00 -20.71 6.50
N -13.20 -18.98 5.38
H -11.53 -19.93 7.04
H -11.69 -21.69 6.36
H -13.58 -18.81 4.47
H -12.52 -18.27 5.67
C -13.46 -22.57 10.34
O -13.18 -22.93 11.47
N -12.71 -21.64 9.62
*/
So if you have distributed ten different versions of firmware for an embedded product, and this firmware contains GPL licensed software, then you need to release ten different source code packages, each one corresponding for each executable version.
Please note that if you chose GPL Option 3b (rather than 3a), then the obligation only lasts for three years. This means that you do not have to provide source code for any executable code that was last distributed more than three years ago.
Please also keep in mind that both distribution on physical storage medium and distribution via data networks such as the Internet count as distribution.
How can I verify that my source code release is complete?
This is quite easy. If you only use source code provided in that release, and you can use this source code to produce a working form of the executable code, then the source code release seems complete.
If the build process fails, or you end up with a non-working executable, or you have no way to install the resulting executable, then clearly something is missing.